Find "0.8472" and "-5.664 eV/atom" in the listing below, and type out these two lines and those between.

/*
The following is a DFT calculation (PBE with a Hubbard U) of a geometry-optimized Li4Fe2Ni3Sb3O16 structure.

Cell and atoms, written as CIF:
```
data_Li4Fe2Ni3Sb3O16
_symmetry_space_group_name_H-M 'C 1 m 1'
_symmetry_Int_Tables_number 8
_cell_length_a 10.5572
_cell_length_b 6.0604
_cell_length_c 9.6829
_cell_angle_alpha 90.00
_cell_angle_beta 91.48
_cell_angle_gamma 90.00
loop_
_symmetry_equiv_pos_as_xyz
'x,y,z'
'x,-y,z'
'x+1/2,y+1/2,z'
'x+1/2,-y+1/2,z'
loop_
_atom_site_label
_atom_site_type_symbol
_atom_site_fract_x
_atom_site_fract_y
_atom_site_fract_z
_atom_site_occupancy
Li1 Li 0.0000 0.0000 0.0000 1
Li2 Li 0.0067 0.0000 0.5181 1
Li3 Li 0.1614 0.5000 0.1053 1
Li4 Li 0.3229 0.0000 0.6227 1
Fe1 Fe 0.1365 0.5000 0.5304 1
Fe2 Fe 0.3113 0.0000 0.9949 1
Ni1 Ni 0.0733 0.2553 0.7921 1
Ni2 Ni 0.1594 0.0000 0.2898 1
Sb1 Sb 0.3184 0.5000 0.7893 1
Sb2 Sb 0.4050 0.2476 0.2893 1
O1 O 0.0079 0.5000 0.6729 1
O2 O 0.0642 0.2472 0.4069 1
O3 O 0.1519 0.0000 0.9003 1
O4 O 0.1554 0.5000 0.8957 1
O5 O 0.2338 0.2794 0.6603 1
O6 O 0.2527 0.2263 0.1671 1
O7 O 0.3273 0.0000 0.4044 1
O8 O 0.3342 0.5000 0.4035 1
O9 O 0.4001 0.2593 0.9101 1
O10 O 0.4778 0.0000 0.1709 1
O11 O 0.4877 0.5000 0.1874 1
O12 O 0.4899 0.5000 0.7025 1
```

ΔE_f   -1793 meV per atom
Raw total energy   -5.734 eV/atom



The following is a DFT calculation (PBE with a Hubbard U) of a geometry-optimized Li4Fe3Ni3Sn2O16 structure.

Cell and atoms, written as CIF:
```
data_Li4Fe3Ni3Sn2O16
_symmetry_space_group_name_H-M 'P 1'
_symmetry_Int_Tables_number 1
_cell_length_a 5.8773
_cell_length_b 5.9329
_cell_length_c 9.6915
_cell_angle_alpha 90.56
_cell_angle_beta 90.15
_cell_angle_gamma 119.61
loop_
_symmetry_equiv_pos_as_xyz
'x,y,z'
loop_
_atom_site_label
_atom_site_type_symbol
_atom_site_fract_x
_atom_site_fract_y
_atom_site_fract_z
_atom_site_occupancy
Li1 Li 0.0000 0.0000 0.0000 1
Li2 Li 0.0010 0.0036 0.5028 1
Li3 Li 0.3354 0.6735 0.4030 1
Li4 Li 0.6650 0.3302 0.8999 1
Fe1 Fe 0.1705 0.3417 0.7221 1
Fe2 Fe 0.3404 0.1717 0.2214 1
Fe3 Fe 0.8311 0.1720 0.2215 1
Ni1 Ni 0.1686 0.8316 0.7213 1
Ni2 Ni 0.6610 0.8310 0.7213 1
Ni3 Ni 0.8299 0.6630 0.2217 1
Sn1 Sn 0.3338 0.6657 0.9976 1
Sn2 Sn 0.6690 0.3431 0.4992 1
O1 O 0.0044 0.0026 0.3146 1
O2 O 0.0304 0.5126 0.8473 1
O3 O 0.1624 0.3243 0.1076 1
O4 O 0.1657 0.8444 0.1054 1
O5 O 0.3256 0.1722 0.6080 1
O6 O 0.3374 0.6758 0.6189 1
O7 O 0.4787 0.5095 0.8472 1
O8 O 0.4829 0.9607 0.8409 1
O9 O 0.5168 0.4886 0.3478 1
O10 O 0.5177 0.0377 0.3487 1
O11 O 0.6629 0.3326 0.1139 1
O12 O 0.6831 0.8367 0.1062 1
O13 O 0.8437 0.6940 0.6094 1
O14 O 0.8475 0.1760 0.6063 1
O15 O 0.9671 0.4981 0.3465 1
O16 O 0.9963 0.9954 0.8114 1
```

ΔE_f   -1657 meV per atom
Raw total energy   -5.664 eV/atom



The following is a DFT calculation (PBE with a Hubbard U) of a geometry-optimized Li4Fe2Ni3Sn3O16 structure.

Cell and atoms, written as CIF:
```
data_Li4Fe2Ni3Sn3O16
_symmetry_space_group_name_H-M 'P 1'
_symmetry_Int_Tables_number 1
_cell_length_a 6.0212
_cell_length_b 6.0229
_cell_length_c 9.6160
_cell_angle_alpha 88.51
_cell_angle_beta 88.86
_cell_angle_gamma 60.64
loop_
_symmetry_equiv_pos_as_xyz
'x,y,z'
loop_
_atom_site_label
_atom_site_type_symbol
_atom_site_fract_x
_atom_site_fract_y
_atom_site_fract_z
_atom_site_occupancy
Li1 Li 0.0000 0.0000 0.0000 1
Li2 Li 0.0067 0.0077 0.5101 1
Li3 Li 0.3128 0.3045 0.6185 1
Li4 Li 0.6497 0.6448 0.1046 1
Fe1 Fe 0.3127 0.3219 0.0061 1
Fe2 Fe 0.6459 0.6403 0.5143 1
Ni1 Ni 0.1536 0.1537 0.2843 1
Ni2 Ni 0.3252 0.8107 0.7872 1
Ni3 Ni 0.8154 0.3257 0.7887 1
Sn1 Sn 0.1533 0.6439 0.2912 1
Sn2 Sn 0.6447 0.1514 0.2901 1
Sn3 Sn 0.8137 0.8184 0.7888 1
O1 O 0.0204 0.4573 0.1617 1
O2 O 0.1411 0.1687 0.8945 1
O3 O 0.1551 0.6675 0.9033 1
O4 O 0.3160 0.8240 0.4035 1
O5 O 0.3179 0.3142 0.4102 1
O6 O 0.4541 0.0212 0.1602 1
O7 O 0.4660 0.4671 0.1551 1
O8 O 0.4906 0.9380 0.6642 1
O9 O 0.5179 0.4851 0.6706 1
O10 O 0.6552 0.6262 0.8956 1
O11 O 0.6644 0.1563 0.9049 1
O12 O 0.8236 0.8212 0.4189 1
O13 O 0.8296 0.3136 0.4005 1
*/

O7 O 0.4787 0.5095 0.8472 1
O8 O 0.4829 0.9607 0.8409 1
O9 O 0.5168 0.4886 0.3478 1
O10 O 0.5177 0.0377 0.3487 1
O11 O 0.6629 0.3326 0.1139 1
O12 O 0.6831 0.8367 0.1062 1
O13 O 0.8437 0.6940 0.6094 1
O14 O 0.8475 0.1760 0.6063 1
O15 O 0.9671 0.4981 0.3465 1
O16 O 0.9963 0.9954 0.8114 1
```

ΔE_f   -1657 meV per atom
Raw total energy   -5.664 eV/atom